5 Nutrient Pairings for Maximum Absorption

5 Nutrient Pairings for Maximum Absorption

What is nutrient pairing, and how can it benefit me?

Nutrient pairing focuses on combining your foods and supplements to maximize your health. This concept, “nutrient synergy,” emphasizes how specific vitamins and minerals work together to improve (or hinder) each other’s absorption.

By understanding these different types of nutrient pairings, you can make smarter choices about your diet and supplement intake. 

1. Magnesium and Vitamin D

The page is interrupted by records of crystals >
-- begin --
# 1
Below is a geometry-optimized EuB2Rh structure, with properties calculated at the PBE level.

Properties
Fermi-level density of states (states/eV per atom): 0.84
E (Ha/atom): -0.290
M_tot (Bohr magnetons per cell): 21.634

Cell: 3.6808 3.6808 14.9487 Å, 90.00 90.00 120.00°
Space group R-3m (No. 166, hexagonal axes)
Symmetry-distinct sites (fractional):
Eu (0.0000, 0.0000, 0.0000) (multiplicity 3)
B (0.0000, 0.0000, 0.1924) (multiplicity 6)
Rh (0.0000, 0.0000, 0.5000) (multiplicity 3)

# 2
Below is a geometry-optimized EuBRh structure, with properties calculated at the PBE level.

Properties
Fermi-level density of states (states/eV per atom): 0.66
E (Ha/atom): -0.301
M_tot (Bohr magnetons per cell): 13.875

Cell: 2.9673 2.9673 10.6461 Å, 90.00 90.00 90.00°
Space group I4mm (No. 107)
Symmetry-distinct sites (fractional):
Eu (0.0000, 0.0000, 0.0000) (multiplicity 2)
B (0.0000, 0.0000, 0.7005) (multiplicity 2)
Rh (0.0000, 0.0000, 0.2731) (multiplicity 2)

# 3
Below is a geometry-optimized EuBRh3 structure, with properties calculated at the PBE level.

Properties
Fermi-level density of states (states/eV per atom): 2.95
E (Ha/atom): -0.304
M_tot (Bohr magnetons per cell): 5.876

Cell: 4.2510 4.2510 4.2510 Å, 90.00 90.00 90.00°
Space group Pm-3m (No. 221)
Symmetry-distinct sites (fractional):
Eu (0.0000, 0.0000, 0.0000) (multiplicity 1)
B (0.5000, 0.5000, 0.5000) (multiplicity 1)
Rh (0.0000, 0.5000, 0.5000) (multiplicity 3)

# 4
Below is a geometry-optimized EuBRu2 structure, with properties calculated at the PBE level.

Properties
Fermi-level density of states (states/eV per atom): 1.46
E (Ha/atom): -0.305
M_tot (Bohr magnetons per cell): 19.583

Cell: 4.9229 4.9229 10.5059 Å, 90.00 90.00 120.00°
Space group R-3m (No. 166, hexagonal axes)
Symmetry-distinct sites (fractional):
Eu (0.0000, 0.0000, 0.0000) (multiplicity 3)
B (0.0000, 0.0000, 0.5000) (multiplicity 3)
Ru (0.0000, 0.0000, 0.3189) (multiplicity 6)

Energy of formation from the pure elements: -14.4, -9.7, -45.4, 56.1 (kJ per mole of atoms)
-- stop --
The page goes on >

Vitamin D, the sunshine vitamin, is essential for bone health, immune function, and emotional well-being. Magnesium, a key mineral, is required for over 300 enzymatic reactions in your body, including vitamin D metabolism.

Here’s how it works: Once vitamin D enters your system, it’s converted into calcidiol in your liver, then to its active form, calcitriol, in the kidneys. Here, magnesium steps in as a catalyst, ensuring vitamin D reaches its active and most beneficial state. Without magnesium, vitamin D remains dormant, unused, and inactive (even with supplements and plenty of sunshine).

Beyond this, magnesium also plays a role in releasing calcium from your bones, a vital step for maintaining bone density and preventing conditions like osteoporosis. Often, calcium and vitamin D steal the spotlight for bone health, but it’s actually magnesium that closely regulates their transport and effectiveness.

Best food sources: 

Include magnesium-rich foods like almonds, spinach, avocados, nuts, and whole grains. As for vitamin D, while sunlight is the primary source – it’s also available in wild-caught salmon, mackerel, eggs, and supplements. 

2. Vitamin D, Vitamin K, and Calcium 

You need calcium, the most abundant mineral in your body, to maintain strong bones and teeth. It’s vital for nerve function, muscle contractions, and the blood clotting process. But to be effective, calcium requires two chaperones: vitamins D3 and K2.

Your body generates vitamin D when your skin is exposed to sunlight, which allows the intestines to absorb calcium from your diet. Without enough vitamin D, the body absorbs no more than 10-15% of calcium, leading to weaker bones and a higher risk of fractures.

While vitamin K2 is less talked about, it’s equally important. It activates specific proteins that bind calcium to your bones and steer it away from depositing in your arteries, where it causes harm. So, while vitamin D makes sure calcium enters your bloodstream, vitamin K directs it to the bones, where it’s needed most.

However, it’s important to be cautious of your calcium intake. Despite popular belief (particularly in messages targeted at women), more calcium doesn’t always mean better bone health. In fact, taking more than 600 mg daily can trigger a magnesium deficiency. This happens because calcium and magnesium compete for absorption in the intestines, especially when calcium levels are high. Maintaining the right balance between these nutrients is vital for overall health.

Best food sources: 

  • Vitamin D: For a healthy dose, indulge in sun exposure (with SPF, of course), consider a plant-based Vitamin D3+K2 supplement, and enjoy foods like wild-caught salmon, mackerel, eggs, and red meat. 
  • Vitamin K: Leafy greens and vegetables, such as kale, broccoli, Brussels sprouts, and spinach, are your go-to. 

  • Calcium: Turn to plain Greek yogurt, edamame, almonds, and tofu. 

3. Sodium and Potassium

First, it’s important to understand that your body needs sodium and potassium to perform essential functions. Sodium, often villainized for its connection to hypertension, plays a role in maintaining fluid balance, nerve transmission, and muscle function. Potassium, on the other hand, has the important job of regulating sodium levels in your cells. 

When you consume too much salt (which is easy to do with processed foods), your body retains water, leading to high blood pressure and other issues. Potassium acts as a counterbalance, relaxing your blood vessels and signaling your kidneys to remove the excess sodium. A balanced intake of both minerals ensures stable blood pressure, optimal cellular function, and a healthy fluid balance. 

Beyond managing blood pressure, sodium and potassium are also required for muscle function. Sodium triggers nerve impulses and muscle contractions, while potassium helps reset nerve and muscle cells, allowing your muscles to contract and relax smoothly. 

Best food sources:

## Misplaced crystal structures
+++
No. 1
CeCdBi after structural relaxation. Source: Alexandria via LeMat-Bulk, functional PBE.

The formation energy from the elements is -0.37 eV/atom.

a b c (Å): 4.5174 4.5174 9.6177
angles (deg): 90.00 90.00 90.00
Space group P4/nmm (No. 129, origin choice 2)
Symmetry-distinct sites (fractional):
Ce: 0.2500 0.2500 0.1819 x2
Cd: 0.2500 0.2500 0.5292 x2
Bi: 0.2500 0.2500 0.8438 x2



No. 2
Tl2AgIrAu after structural relaxation. Source: Alexandria via LeMat-Bulk, functional PBE.

The formation energy from the elements is 0.54 eV/atom.

a b c (Å): 5.2120 5.2120 5.2262
angles (deg): 90.00 90.00 90.00
Space group P4/mmm (No. 123)
Symmetry-distinct sites (fractional):
Tl: 0.0000 0.5000 0.0000 x2
Ag: 0.0000 0.0000 0.5000 x1
Ir: 0.5000 0.5000 0.0000 x1
Au: 0.5000 0.5000 0.5000 x1



No. 3
Re2Mo3W8 after structural relaxation. Source: Alexandria via LeMat-Bulk, functional PBE.

The formation energy from the elements is 0.67 eV/atom.

a b c (Å): 12.9034 5.0175 8.2565
angles (deg): 90.00 124.23 90.00
Space group C2/m (No. 12)
Symmetry-distinct sites (fractional):
Re: 0.1101 0.0000 0.0105 x4
Mo: 0.0000 0.2497 0.5000 x4
Mo: 0.0000 0.5000 0.0000 x2
W: 0.1266 0.2499 0.3447 x8
W: 0.1554 0.5000 0.8632 x4
W: 0.2258 0.0000 0.7564 x4



No. 4
CeMgScMn after structural relaxation. Source: Alexandria via LeMat-Bulk, functional PBE.

The formation energy from the elements is 0.12 eV/atom.

a b c (Å): 7.0759 7.0759 7.0759
angles (deg): 90.00 90.00 90.00
Space group F-43m (No. 216)
Symmetry-distinct sites (fractional):
Ce: 0.0000 0.0000 0.0000 x4
Mg: 0.2500 0.2500 0.7500 x4
Sc: 0.0000 0.0000 0.5000 x4
Mn: 0.2500 0.2500 0.2500 x4



No. 5
LaPrMg after structural relaxation. Source: Alexandria via LeMat-Bulk, functional PBE.

The formation energy from the elements is 0.01 eV/atom.

a b c (Å): 5.6389 5.6389 3.4771
angles (deg): 90.00 90.00 120.00
Space group P3m1 (No. 156)
Symmetry-distinct sites (fractional):
La: 0.0000 0.0000 0.0000 x1
Pr: 0.3333 0.6667 0.5859 x1
Mg: 0.6667 0.3333 0.3121 x1



No. 6
Tb3Pm4Dy4 after structural relaxation. Source: Alexandria via LeMat-Bulk, functional PBE.

The formation energy from the elements is 0.13 eV/atom.

a b c (Å): 3.5973 9.4228 21.8163
angles (deg): 90.00 90.00 90.00
Space group Immm (No. 71)
Symmetry-distinct sites (fractional):
Tb: 0.0000 0.0000 0.0000 x2
Tb: 0.0000 0.5000 0.1076 x4
Pm: 0.0000 0.3220 0.3553 x8
Dy: 0.0000 0.0000 0.2599 x4
Dy: 0.0000 0.1832 0.5000 x4



No. 7
Li3Tm3UTe8 after structural relaxation. Source: Alexandria via LeMat-Bulk, functional PBE.

As for the uncorrected formation energy: -16.9 eV/f.u.

a b c (Å): 8.6191 8.6191 21.1771
angles (deg): 90.00 90.00 120.00
Space group R-3m (No. 166, hexagonal axes)
Symmetry-distinct sites (fractional):
Li: 0.0000 0.5000 0.0000 x9
Tm: 0.0000 0.5000 0.5000 x9
U: 0.0000 0.0000 0.5000 x3
Te: 0.0000 0.0000 0.2509 x6
Te: 0.0029 0.5014 0.7496 x18



No. 8
ZnSbIr2 after structural relaxation. Source: Alexandria via LeMat-Bulk, functional PBE.
+++

While many people focus on cutting down salt, the importance of potassium is often overlooked. Load up on bananas, oranges, spinach, avocados, and sweet potatoes to boost your intake.

Adding Sea Salt to Your Water

Natural sea salt is more than just sodium chloride. It’s a blend of nutrients, including potassium, magnesium, calcium, and other essential minerals that contribute to the overall electrolyte balance in your body. By adding a pinch of natural sea salt to each glass of water, you can keep your fluid balance in check. For best results, consider adding ¾ tsp of a high-quality liquid electrolyte formula to every liter of water.

4. Zinc and Copper

Zinc and copper, both essential minerals, work closely together within every cell of your body. Zinc supports immune function, aids in wound healing, and plays a vital role in DNA synthesis. Meanwhile, copper contributes to healthy bones, blood vessels, and nerves. But their relationship is delicate. Too much of one can block the other’s absorption in the small intestine, leading to a deficiency.

Together, these two minerals help create superoxide dismutase (SOD), a powerful enzyme that acts as an antioxidant. This partnership is vital for combating the oxidative stress associated with various chronic diseases.

Best food sources: 

You can find zinc in foods like pumpkin seeds, chickpeas, beans, eggs, whole grains, lentils, and beef. For copper, turn to cashews, sesame seeds, dark leafy greens, and sweet potatoes. If you’re taking (or considering) a supplement, aim for a zinc-to-copper ratio of about 10:1. Why is this ideal? It ensures that both minerals can perform their functions without hindering each other’s absorption.

5. Vitamin B12 and Folate

Vitamin B12 and folate, members of the B vitamin family, work together to convert the food you eat into energy, support healthy brain cell function, and produce red blood cells. Folate (vitamin B9) is incredibly important during rapid growth phases like pregnancy and infancy.

Vitamin B12 and folate drive the methylation process – a cycle required for DNA synthesis. The absence of either nutrient disrupts this process, resulting in an unhealthy buildup of homocysteine – an amino acid that, at high levels, is linked to heart disease and stroke. That’s why it’s so important to include rich sources of both B12 and folate in your diet to maintain this critical balance.

Best food sources: 

Vitamin B12 is abundant in animal products like fatty fish, chicken, tuna, eggs, and nutritional yeast. For folate, consume dark, leafy greens, beans, legumes, whole grains, and citrus fruits. If your diet falls short, consider a B-complex supplement containing all eight B vitamins your body needs. 

Challenges and Considerations

The Risks of Over-Supplementing

Remember, more isn’t necessarily better. Taking high doses of supplements without considering how they interact can be harmful, possibly leading to toxicity or further nutrient imbalances. A common example is taking high doses of vitamin A, which can become toxic, especially if you have low vitamin D levels.

Finding the Right Balance

While nutrients often work better together, an excess of one can interfere with the absorption of another. For instance, iron and calcium supplements don’t mix well, and taking them at the same time can reduce their effectiveness. Vitamin C, however, loves iron and improves its absorption.

Be mindful of these combinations in high amounts:

  • Iron and calcium
  • Vitamin C and vitamin B12
  • Calcium and magnesium
  • Vitamin K and vitamin E

Always read the specific directions on your supplements, like whether to take them with food or on an empty stomach. If you’re on medications, follow your health provider’s guidance to maximize the benefits of your supplements safely.


Can nutrient pairing help with weight loss?

It can! When you choose nutrient-rich foods and combine them thoughtfully, you’re likely to feel fuller and more satisfied, which can be a game-changer in managing your weight effectively.

How can I incorporate it into my daily diet?

Start by mixing a variety of food groups – fruits, vegetables, grains, and proteins – in your meals. This natural mix and match can lead to beneficial nutrient pairings. Some quick ideas include:

  • Pair spinach (rich in iron) with bell peppers (full of vitamin C) to enhance iron absorption (also an excellent option for vegans and vegetarians looking to increase iron intake).
  • Combine omega-3-packed fish with leafy greens high in vitamin E. 
  • Beans and rice create a complete protein, supplying all essential amino acids.
  • For a nutritious snack, mix yogurt with nuts. The healthy fats in nuts help absorb the calcium in yogurt.

Should I consider nutrient pairing when taking supplements?

Yes. Combining certain supplements can improve their absorption and benefits. For example, taking your vitamin D with a magnesium formula is more effective, as magnesium boosts its absorption. Similarly, an omega-3 supplement with added vitamin E can benefit heart health.

How can a nutrient tracker app support my goals?

Nutrient trackers, like Cronometer, are an excellent tool for keeping track of your nutrient intake. It provides detailed insights into calorie counts and the breakdown of vitamins, minerals, and other nutrients in your foods. This way, you can identify gaps and plan your meals to include effective pairings.

Key Takeaway

By understanding how different nutrients interact and influence each other, you can optimize your health and maximize the benefits of your foods and supplements.